Thursday, April 29, 2010

Wiggle, Paint, and Giggle

We were able to make-up a missed gym class by taking a class called Wiggle, Paint, and Giggle.
Blake decorated this baseball hat. He was so excited to bring it home.

Wednesday, April 28, 2010


Today at open gym, Blake watched in awe a 7 year old boy run on the tumble trampoline and do a front flip into the foam pit. Blake kept running down and jumping in saying "flip".

Monday, April 26, 2010

Morning Slide

Blake misses his morning slides at Mimi and Papa's house.

Friday, April 23, 2010


Baby cows, born just three weeks ago.

## Attached: calculated crystals
~~~
Entry 1:
Diffraction record for RbMg14C. The X-ray diffraction stick pattern is simulated, not measured: it uses a cell relaxed with PBE and Cu Kα (weighted mean of Kα1 and Kα2).
Lines closer than 0.1° are merged.

Structure:
a b c (Å): 6.4682 6.4682 10.3992
angles (deg): 90.00 90.00 120.00
Fractional positions:
Rb (0.0000, 0.0000, 0.0000)
Mg (0.0118, 0.5059, 0.0000)
Mg (0.1602, 0.3204, 0.2863)
Mg (0.1602, 0.3204, 0.7137)
Mg (0.1602, 0.8398, 0.2863)
Mg (0.1602, 0.8398, 0.7137)
Mg (0.4941, 0.5059, 0.0000)
Mg (0.4941, 0.9882, 0.0000)
Mg (0.5087, 0.0174, 0.5000)
Mg (0.5087, 0.4913, 0.5000)
Mg (0.6667, 0.3333, 0.2406)
Mg (0.6667, 0.3333, 0.7594)
Mg (0.6796, 0.8398, 0.2863)
Mg (0.6796, 0.8398, 0.7137)
Mg (0.9826, 0.4913, 0.5000)
C (0.0000, 0.0000, 0.5000)

Principal peaks in the range 2θ = 5–70°, by angle:
2θ/deg, intensity
17.99, 17
30.32, 14
31.95, 26
34.50, 21
36.44, 100
47.73, 15
56.95, 18
63.08, 11
68.31, 15
69.52, 13



Entry 2:
Diffraction record for Li8BiO6. The X-ray diffraction stick pattern is simulated, not measured: it uses a cell relaxed with PBE and Cu Kα (weighted mean of Kα1 and Kα2).
Lines closer than 0.1° are merged.

Structure:
a b c (Å): 5.8389 5.8389 11.0172
angles (deg): 90.00 90.00 120.00
Fractional positions:
Li (0.0000, 0.3239, 0.0000)
Li (0.0000, 0.4118, 0.3601)
Li (0.0000, 0.5882, 0.8601)
Li (0.0000, 0.6761, 0.5000)
Li (0.3239, 0.0000, 0.0000)
Li (0.3239, 0.3239, 0.5000)
Li (0.3333, 0.6667, 0.1357)
Li (0.3333, 0.6667, 0.6357)
Li (0.4118, 0.0000, 0.3601)
Li (0.4118, 0.4118, 0.8601)
Li (0.5882, 0.0000, 0.8601)
Li (0.5882, 0.5882, 0.3601)
Li (0.6667, 0.3333, 0.1357)
Li (0.6667, 0.3333, 0.6357)
Li (0.6761, 0.0000, 0.5000)
Li (0.6761, 0.6761, 0.0000)
Bi (0.0000, 0.0000, 0.2218)
Bi (0.0000, 0.0000, 0.7218)
O (0.0000, 0.0000, 0.4185)
O (0.0000, 0.0000, 0.9185)
O (0.0000, 0.3575, 0.1817)
O (0.0000, 0.6425, 0.6817)
O (0.3333, 0.6667, 0.4460)
O (0.3333, 0.6667, 0.9460)
O (0.3575, 0.0000, 0.1817)
O (0.3575, 0.3575, 0.6817)
O (0.6425, 0.0000, 0.6817)
O (0.6425, 0.6425, 0.1817)
O (0.6667, 0.3333, 0.4460)
O (0.6667, 0.3333, 0.9460)

Principal peaks in the range 2θ = 5–70°, by angle:
2θ/deg, intensity
16.09, 37
17.54, 91
23.89, 100
30.62, 35
34.78, 23
35.51, 22
37.17, 32
39.21, 32
45.26, 22
50.55, 29



Entry 3:
Diffraction record for Ho4MgTi2O10. The X-ray diffraction stick pattern is simulated, not measured: it uses a cell relaxed with PBE and Cu Kα (weighted mean of Kα1 and Kα2).
Lines closer than 0.1° are merged.

Structure:
a b c (Å): 5.9350 5.9350 11.6349
angles (deg): 101.32 101.32 38.35
Fractional positions:
Ho (0.1496, 0.1496, 0.0592)
Ho (0.1786, 0.1786, 0.3813)
Ho (0.8214, 0.8214, 0.6187)
Ho (0.8504, 0.8504, 0.9408)
Mg (0.5000, 0.5000, 0.5000)
Ti (0.1336, 0.1336, 0.7670)
Ti (0.8664, 0.8664, 0.2330)
O (0.0228, 0.0228, 0.8758)
O (0.0261, 0.0261, 0.6218)
O (0.2701, 0.2701, 0.9214)
O (0.2976, 0.2976, 0.2471)
O (0.3356, 0.3356, 0.5343)
O (0.6644, 0.6644, 0.4657)
O (0.7024, 0.7024, 0.7529)
O (0.7299, 0.7299, 0.0786)
~~~

Morning Cake

We went to New Hampshire this morning to visit Blake's great grandparents. Blake was psyched because there was some leftover cake from Grampa's 87th birthday!
Checking out the yard with Grammie.

Thursday, April 22, 2010

Earth Day

We celebrated Earth Day by having a delicious picnic with friends.

The highlight of Blake's day was finding an earthworm in the grass.

Wednesday, April 21, 2010

Monday, April 19, 2010

These materials data were left in the page by mistake
____________
Diffraction record for LiCu2B2H8Cl2O8. The powder XRD pattern is theoretical, not measured: it uses a crystal structure in Alexandria, relaxed with GGA-PBE and Cu Kα.
No peak broadening, texture or thermal motion is included.

Most intense lines, 2θ from 10° to 90°, by angle:
2θ/deg, intensity
16.98, 49
19.32, 66
21.84, 36
27.45, 100
37.12, 82
44.07, 56
46.78, 41
55.10, 34

Structural model:
```
LiCu2B2H8Cl2O8
1.0
6.498 0.000 0.000
0.000 6.498 0.000
0.000 0.000 5.220
Li Cu B H Cl O
1 2 2 8 2 8
direct
0.000 0.000 0.000
0.000 0.500 0.645
0.500 0.000 0.355
0.000 0.000 0.500
0.500 0.500 0.500
0.170 0.779 0.317
0.221 0.170 0.683
0.328 0.354 0.230
0.354 0.672 0.770
0.646 0.328 0.770
0.672 0.646 0.230
0.779 0.830 0.683
0.830 0.221 0.317
0.000 0.500 0.151
0.500 0.000 0.849
0.070 0.170 0.670
0.170 0.930 0.330
0.320 0.553 0.662
0.447 0.320 0.338
0.553 0.680 0.338
0.680 0.447 0.662
0.830 0.070 0.330
0.930 0.830 0.670
```

Diffraction record for Pm5Er2In4. The powder XRD pattern is theoretical, not measured: it uses a crystal structure in Alexandria, relaxed with GGA-PBE and Cu Kα.
No peak broadening, texture or thermal motion is included.

Most intense lines, 2θ from 10° to 90°, by angle:
2θ/deg, intensity
30.77, 27
30.95, 23
32.20, 39
33.24, 100
33.68, 44
34.07, 23
34.27, 23
36.45, 44

Structural model:
```
Pm5Er2In4
1.0
8.756 0.000 0.000
0.000 3.429 0.000
-1.025 0.000 10.647
Pm Er In
5 2 4
direct
0.000 0.000 0.000
0.038 0.000 0.335
0.341 0.000 0.859
0.659 0.000 0.141
0.962 0.000 0.665
0.418 0.000 0.362
0.582 0.000 0.638
0.258 0.500 0.576
0.300 0.500 0.125
0.700 0.500 0.875
0.742 0.500 0.424
```

Diffraction record for Pu3Cd4Au4. The powder XRD pattern is theoretical, not measured: it uses a crystal structure in Alexandria, relaxed with GGA-PBE and Cu Kα.
No peak broadening, texture or thermal motion is included.

Most intense lines, 2θ from 10° to 90°, by angle:
2θ/deg, intensity
15.74, 9
33.26, 10
35.26, 26
35.85, 100
36.79, 32
38.82, 16
54.55, 12
65.65, 17

Structural model:
```
Pu3Cd4Au4
1.0
9.279 0.000 0.000
0.000 2.443 5.630
0.000 -2.443 5.630
Pu Cd Au
3 4 4
direct
0.000 0.000 0.000
0.298 0.125 0.125
0.702 0.125 0.125
0.000 0.294 0.294
0.275 0.825 0.825
0.500 0.378 0.378
0.725 0.825 0.825
0.000 0.667 0.667
0.219 0.469 0.469
0.500 0.651 0.651
0.781 0.469 0.469
```

Diffraction record for ScSb2Pd6. The powder XRD pattern is theoretical, not measured: it uses a crystal structure in Alexandria, relaxed with GGA-PBE and Cu Kα.
No peak broadening, texture or thermal motion is included.

Most intense lines, 2θ from 10° to 90°, by angle:
2θ/deg, intensity
37.67, 100
38.49, 95
42.21, 47
45.15, 28
45.36, 26
63.51, 20
63.68, 18
74.16, 15

Structural model:
```
ScSb2Pd6
1.0
4.542 -2.141 0.000
4.542 2.141 0.000
-2.610 0.000 7.960
Sc Sb Pd
1 2 6
direct
0.000 0.000 0.000
0.305 0.305 0.749
0.695 0.695 0.251
0.009 0.009 0.323
0.339 0.339 0.439
0.347 0.347 0.095
0.653 0.653 0.905
0.661 0.661 0.561
0.991 0.991 0.677
```
____________
So much for the materials data

Eric Carle

We went to the Eric Carle museum today in Amherst, MA with Mimi and Papa. Blake's latest favorite book is The Very Hungry Caterpillar, so this display was a big hit.
In the "art studio".

Thursday, April 15, 2010

Black Tie

We attended a black tie event. Blake was more interested in playing ball in the hallway than getting his picture taken!

Sunday, April 11, 2010

Park Weekend

We literally spent all weekend at the park. Blake would have slept there if we let him. It was beautiful weather and the park was very much alive.Blake hooking up these musicians we came across.
Raisin break.

Friday, April 9, 2010

DC Adventures

Blake and I traveled to DC to visit Uncle Chris and to see the cherry blossoms. I decided last minute to take the acela train instead of driving. I still had some items left over from my "bag of tricks" I used on our recent flight. Blake has taken an interest in the Clifford books and I found the perfect one for our trip.
The entire time Blake kept saying "go in grass". He just wanted to run and run.
One of my favorite parts of the trip was this tulip garden.
It was so hot outside people were cooling off by putting their feet in the fountains at the World War II memorial. Blake kept trying to jump all the way in!
Snow cone break.
The oval office.
Uncle Chris gave Blake an early birthday present. A puzzle of the United States indicating red/blue states.
Apparently it had been windy in DC and most of the cherry blossoms were gone! We did find a couple of trees that were still intact.
We went all the way to the FDR memorial to check out the statue of his dog "Fala". It was featured in the Clifford Goes to Washington book and was Blake's favorite part. We got to the statue and Blake refused to get out of his stroller!
I called Julie to wish her a Happy Birthday today and she told me she was in DC for a meeting. We were able to get on the same return train. We caught up and Blake slept the entire ride home. He didn't wake up until we were in the taxi line! Happy Birthday Julie and thank you Uncle Chris for a fun time!

Tuesday, April 6, 2010

# Someone pasted records of crystals at this point
-- begin --
Zr3AgHg3F20: simulated powder diffraction line list (Cu Kα (λ = 1.5418 Å)), based on a DFT-relaxed cell (GGA-PBE, the Materials Project).

Structural model:
Unit cell a=10.8765 b=10.8765 c=8.6806 alpha=90.00 beta=90.00 gamma=120.00
Space group P6_3/m (No. 176)
One atom of each set of equivalent atoms:
Zr (0.1394, 0.4173, 0.2500) [6 per cell]
Ag (0.0000, 0.0000, 0.2500) [2 per cell]
Hg (0.1606, 0.4313, 0.7500) [6 per cell]
F (0.0000, 0.0000, 0.0000) [2 per cell]
F (0.0314, 0.7989, 0.7500) [6 per cell]
F (0.0556, 0.5867, 0.7500) [6 per cell]
F (0.0584, 0.7774, 0.2500) [6 per cell]
F (0.1452, 0.4252, 0.0171) [12 per cell]
F (0.1846, 0.6340, 0.2500) [6 per cell]
F (0.3333, 0.6667, 0.7500) [2 per cell]

Top 10 peaks for 2θ = 10–90°, low angle first:
index, 2theta, Rel. int.
1 0 1, 13.87, 146
0 0 2, 20.46, 676
1 2 0, 25.01, 1000
1 2 2, 32.53, 533
0 0 4, 41.62, 160
4 1 0, 44.06, 329
4 1 2, 49.04, 301
1 2 4, 49.17, 313
2 4 0, 51.33, 152
4 1 4, 62.21, 218

* * * * *

The following is a theoretical powder X-ray diffraction pattern of PmOsO5. It was derived from a structure optimized by DFT (PBE), using a wavelength of 1.5418 Å.
Lines closer than 0.1° are merged.

Most intense lines, 15° ≤ 2θ ≤ 90°, sorted by position:
| 2θ/deg | d [Å] | I/Imax |
| --- | --- | --- |
| 21.2 | 4.187 | 69.0 |
| 27.1 | 3.287 | 100.0 |
| 34.7 | 2.585 | 69.0 |
| 43.2 | 2.093 | 13.7 |
| 51.8 | 1.766 | 31.8 |
| 53.0 | 1.727 | 14.1 |

Atomic structure:
```
PmOsO5
1.0
4.596 -3.280 0.000
4.596 3.280 0.000
-3.137 0.000 6.928
Pm Os O
2 2 10
Direct
0.047 0.953 0.750 Pm
0.953 0.047 0.250 Pm
0.500 0.500 0.000 Os
0.500 0.500 0.500 Os
0.198 0.778 0.033 O
0.222 0.802 0.467 O
0.269 0.301 0.390 O
0.301 0.269 0.890 O
0.418 0.582 0.750 O
0.582 0.418 0.250 O
0.699 0.731 0.110 O
0.731 0.699 0.610 O
0.778 0.198 0.533 O
0.802 0.222 0.967 O
```

The following is a theoretical powder X-ray diffraction pattern of AlZnGaAg4. It was derived from a structure optimized by DFT (PBE), using a wavelength of 1.5418 Å.
Lines closer than 0.1° are merged.

Most intense lines, 15° ≤ 2θ ≤ 90°, sorted by position:
| 2θ/deg | d [Å] | I/Imax |
| --- | --- | --- |
| 32.0 | 2.800 | 62.8 |
| 34.9 | 2.570 | 34.4 |
| 39.7 | 2.272 | 51.8 |
| 40.7 | 2.216 | 100.0 |
| 40.9 | 2.208 | 26.1 |
| 45.2 | 2.007 | 23.9 |

Atomic structure:
```
AlZnGaAg4
1.0
3.556 -4.076 0.000
3.556 4.076 0.000
0.000 0.000 9.088
Al Zn Ga Ag
2 2 2 8
Direct
0.026 0.974 0.750 Al
0.974 0.026 0.250 Al
0.500 0.500 0.000 Zn
0.500 0.500 0.500 Zn
0.363 0.637 0.250 Ga
0.637 0.363 0.750 Ga
0.138 0.475 0.750 Ag
0.172 0.828 0.010 Ag
0.172 0.828 0.490 Ag
0.475 0.138 0.250 Ag
0.525 0.862 0.750 Ag
0.828 0.172 0.510 Ag
0.828 0.172 0.990 Ag
0.862 0.525 0.250 Ag
```

The following is a theoretical powder X-ray diffraction pattern of KYBeO3. It was derived from a structure optimized by DFT (PBE), using a wavelength of 1.5418 Å.
Lines closer than 0.1° are merged.

Most intense lines, 15° ≤ 2θ ≤ 90°, sorted by position:
| 2θ/deg | d [Å] | I/Imax |
| --- | --- | --- |
-- stop --

Dry Run

I ordered this pretend cake set for Blake's Easter basket, but forgot to put it in. He opened it yesterday and instantly loved it. He sets up all the candles and insists on wearing the party hat. He sings happy birthday and loves blowing out the candles. Great practice for next months festivities.

Monday, April 5, 2010

Sunday, April 4, 2010

Egg Hunt

We headed to NJ today to celebrate Easter. The weather was gorgeous and we were outside for most of the day. Blake had a blast searching for eggs with cousins Ellie and Kate.